Max Payne 2 Blood Model

Entry from the OMol25 dataset: C17H17NO5S in the gas phase (ωB97M-V/def2-TZVPD).

Results
Kohn-Sham gap ... 9.549 eV
Structure (SMILES) ... COC(=O)c1ccc(CNC(=O)COC(=O)Cc2ccsc2)cc1
Electronic energy ... -40468.7116 eV
Energy above the lowest of the compared OMol25 structures with the same formula, charge and spin ... 0.000 eV

Bonds (Å) are listed after each position.
Atoms and positions in Å:
1 H -0.897 3.909 -1.091  C30 1.080
2 H 0.229 -3.950 1.318  C17 1.072
3 C -1.808 0.819 -0.070  H13 1.080, C18 1.392, C37 1.379
4 H -0.848 2.746 -3.265  C6 1.078
5 H -2.012 -0.885 -1.361  C37 1.080
6 C -1.117 2.212 -2.368  H4 1.078, C12 1.391, C30 1.383
7 C -1.107 0.245 -6.037  H10 1.092, O11 1.419, H15 1.087, H29 1.092
8 H 0.484 2.137 1.824  N21 1.014
9 O 1.866 0.804 1.372  C35 1.208
10 H -2.056 -0.253 -6.247  C7 1.092
11 O -1.161 0.898 -4.779  C7 1.419, C20 1.342
12 C -1.421 0.856 -2.442  C6 1.391, C20 1.482, C37 1.394
13 H -2.085 0.285 0.827  C3 1.080
14 C 2.012 -2.681 1.375  C17 1.360, C27 1.498, C41 1.420
15 H -0.910 1.019 -6.774  C7 1.087
16 H 0.086 -0.160 4.485  C32 1.090
17 C 1.240 -3.771 1.625  H2 1.072, C14 1.360, S40 1.717
18 C -1.490 2.172 0.010  C3 1.392, C30 1.389, C34 1.508
19 C 3.475 -3.976 2.610  H24 1.072, S40 1.719, C41 1.355
20 C -1.377 0.105 -3.718  O11 1.342, C12 1.482, O36 1.207
21 N -0.463 2.163 2.188  H8 1.014, C26 1.346, C34 1.450
22 O 0.635 -0.614 2.598  C32 1.429, C35 1.329
23 H 2.297 -1.188 -0.143  C27 1.091
24 H 4.343 -4.329 3.130  C19 1.072
25 H 4.063 -2.046 1.867  C41 1.075
26 C -0.813 1.262 3.125  N21 1.346, C32 1.540, O39 1.210
27 C 1.566 -1.468 0.618  C14 1.498, H23 1.091, H28 1.092, C35 1.513
28 H 0.605 -1.660 0.135  C27 1.092
29 H -0.311 -0.504 -6.043  C7 1.092
30 C -1.146 2.859 -1.147  H1 1.080, C6 1.383, C18 1.389
31 H 1.260 0.994 3.753  C32 1.095
32 C 0.366 0.385 3.584  H16 1.090, O22 1.429, C26 1.540, H31 1.095
33 H -2.410 2.738 1.875  C34 1.094
34 C -1.448 2.835 1.363  C18 1.508, N21 1.450, H33 1.094, H38 1.093
35 C 1.388 -0.291 1.552  O9 1.208, O22 1.329, C27 1.513
36 O -1.516 -1.091 -3.808  C20 1.207
37 C -1.771 0.164 -1.283  C3 1.379, H5 1.080, C12 1.394
38 H -1.187 3.893 1.274  C34 1.093
39 O -1.932 1.129 3.567  C26 1.210
40 S 2.066 -4.959 2.550  C17 1.717, C19 1.719
41 C 3.305 -2.804 1.951  C14 1.420, C19 1.355, H25 1.075


Entry from the OMol25 dataset: a 4-piece molecular cluster, C28H55Cl3N3O3 overall in a non-equilibrium geometry (ωB97M-V/def2-TZVPD).

Results
Spin multiplicity ... 5
Kohn-Sham gap (spin up / spin down) ... 7.950 / 3.242 eV
Total charge ... +1
Electronic energy ... -78090.9061 eV
Expectation value of S² ... 6.02

Bonds (Å) are listed after each position.
Atoms and positions in Å:
1 C 2.690 -6.780 -3.498  C17 1.535, C26 1.567, C48 1.564, N68 1.509
2 O 3.962 -5.409 -1.897  N68 1.438
3 H -0.757 3.796 -2.977  C92 1.090
4 H 1.407 -7.697 -4.952  C48 1.090
5 H -2.211 3.719 -1.959  C92 1.090
6 C -2.068 -0.582 5.063  C53 1.603, C81 1.598, N87 1.516, C90 1.527
7 H 2.696 -7.841 -1.622  C26 1.090

Then you'd have. Cinema will not immediately impress you. Unlike most mods we feature for this award, Cinema isn't a total conversion that takes the core Max Payne 2 engine and builds and entirely new game off of it. At the merest glance, you might not even realize that Cinema is any different from the original game. It certainly doesn't look that different.

Max Payne 2 Blood Model

But you could not be more wrong. 'The idea for the mod came from every action movie shootout that was worth watching more than once,' mod creator Richard Gobeille said. 'Every once in a while, a movie will have a sequence or two that's worth seeing a couple of times. The idea for the mod was to recreate the types of shootouts that make you say 'whoa' and rewind the movie the first time you see them.' While the first Max Payne focused more on the combat than the flimsy plot that held it all together, The Fall Of Max Payne was more concerned with telling a dramatic yarn while giving you gun battles in between the movie sequences. Gone were the realistically modeled weapons that recoiled and ejected shell casings in slow motion.

No longer did we do battle with named gangsters in the underground, giving us a distinct feeling of shooting our way to the top of the food chain. Cinema changes all of that, taking the killer action of the first game and juxtaposing it against that of the second, making for a truly engaging gunfight extravaganza. Sporting his new Armani coat, Max is ready for a night on the town. Imagine diving into a room in excessively slow motion, crawling along just fast enough to where you can see the reactions of the people, seconds before you shoot three of them in the head. Bullet time has been tweaked to the point where you can pull off some superhuman feats now, running and diving and causing unheard of amounts of damage without even being winged, so long as you are quick. 'Very little real research was done on the weapons during the development of the mod,' Gobeille said. 'Most of the changes were made according to both what I remember from all of the movies I've seen and games I've played, and by what felt right.

• Unrelated to this article: molecular data:
┌──
Here is a cluster of 2 separate species, C5H11NO2 in total in a non-equilibrium geometry from the Open Molecules 2025 dataset. Energies are from ωB97M-V with the def2-TZVPD basis set.

Output
Kohn-Sham gap ... 4.0 eV
E_HOMO ... -8.50 eV
DFT total energy ... -10938.195 eV
Energy relative to the best compared isomer or geometry (same formula, charge and spin) ... 255.3 kcal per mole

Structure (XYZ):
```
19
C5H11NO2 ωB97M-V with the def2-TZVPD basis set
O 1.129 1.552 -1.380
C 2.200 0.960 -0.910
N 1.772 -0.211 0.014
C 0.475 0.274 0.645
C -0.905 0.533 -0.164
C -1.979 -0.360 0.399
C -2.663 -0.050 1.506
H 2.874 1.487 -0.099
H 2.902 0.508 -1.609
H 0.686 1.300 0.973
H 0.344 -0.451 1.445
H -1.024 1.638 -0.277
H -0.617 0.124 -1.155
H -1.280 -1.411 0.215
H -2.558 1.000 1.839
H -3.202 -0.755 2.120
H -0.560 -3.177 0.127
H 1.283 -0.844 -0.599
O -0.381 -2.312 -0.111
```

Here is the molecule C4H9NO from the Open Molecules 2025 dataset. Energies are from ωB97M-V with the def2-TZVPD basis set.

Output
Kohn-Sham gap ... 8.7 eV
E_HOMO ... -7.86 eV
DFT total energy ... -7826.822 eV
Energy relative to the best compared isomer or geometry (same formula, charge and spin) ... 126.8 kcal per mole

Structure (XYZ):
```
15
C4H9NO ωB97M-V with the def2-TZVPD basis set
C 0.561 1.068 1.157
C 0.169 0.405 -0.155
C 1.267 -0.453 -0.767
N -1.023 -0.440 0.051
C -1.814 -0.886 -1.133
O -2.255 0.181 -0.155
H 1.412 1.738 1.004
H 0.866 0.316 1.896
H -0.268 1.652 1.571
H -0.173 1.144 -0.884
H 0.874 -0.948 -1.661
H 1.631 -1.209 -0.061
H 2.115 0.176 -1.052
H -1.035 -0.952 0.932
H -2.326 -1.792 -0.744
```

Here is a cluster of 7 separate species, C35H47N5O22S2 in total in a non-equilibrium geometry from the Open Molecules 2025 dataset. Energies are from ωB97M-V with the def2-TZVPD basis set.

Output
Kohn-Sham gap ... 8.4 eV
E_HOMO ... -8.49 eV
SMILES ... C[C@@H](COC(=O)CSc1cnc2cc(CC(N)(N)N)ccc2n1)OC(=O)CS.O=C1OCCO1.O=C1OCCO1.O=C1OCCO1.O=C1OCCO1.O=C1OCCO1.O=C1OCCO1
DFT total energy ... -111222.114 eV

Structure (XYZ):
```
111
C35H47N5O22S2 ωB97M-V with the def2-TZVPD basis set
C -2.655 1.708 2.654
C -1.364 1.592 1.915
C -1.595 1.451 0.434
O -2.599 0.459 0.245
C -3.486 0.813 -0.708
O -4.168 1.790 -0.528
C -3.634 0.036 -1.957
S -4.215 -1.686 -1.759
C -2.949 -2.437 -0.780
C -3.182 -2.745 0.525
N -2.321 -3.301 1.290
C -1.143 -3.558 0.689
C -0.134 -4.139 1.393
C 1.003 -4.392 0.864
C 2.142 -4.997 1.601
C 3.189 -3.907 1.963
N 2.690 -2.582 1.740
N 3.572 -4.169 3.358
N 4.405 -4.023 1.184
C 1.211 -4.099 -0.464
C 0.286 -3.565 -1.149
C -0.920 -3.272 -0.604
N -1.853 -2.694 -1.363
O -0.617 2.796 2.183
C 0.727 2.701 1.967
O 1.433 2.151 2.758
C 1.196 3.390 0.708
S 2.904 2.950 0.330
H -3.172 0.774 2.690
H -3.278 2.467 2.209
H -2.459 2.015 3.660
H -0.828 0.747 2.317
H -0.688 1.083 -0.021
H -1.888 2.400 0.024
H -4.312 0.532 -2.606
H -2.697 -0.039 -2.483
H -4.135 -2.502 0.934
H -0.300 -4.396 2.411
H 2.591 -5.685 0.918
H 1.787 -5.481 2.485
H 3.464 -1.937 1.749
H 2.080 -2.284 2.482
H 4.564 -4.039 3.453
└──

A lot of time was spent adjusting the various properties of the weapons by very small amounts in order to make things as fun to play as possible.' Guns look far more realistic and functional this time around and do far more damage than their predecessors in Max Payne 2 did, which creates an interesting dynamic in Cinema. Much like in F.E.A.R., you and your enemies are all carrying equally powered heavy weaponry.

The difference is, you have bullet time to give you an advantage. It is now far easier to get killed in the game if you get caught in a heavy crossfire, which makes handling bullet time that much more vital than it was before. Blood and ragdoll effects have also been tweaked throughout the experience, making your killing that much more violent. As opposed to many of the Max Payne 2 blood mods, of which I have sadly played many, this one does the best job of spraying bodily fluids without verging into the excessive range. It isn't uncommon now to send someone flying off a building, only to have them crash to the ground and make a nice splat where they landed. People tumbling down stairs also have a tendency to leave a bit of a trail, if that sort of thing suits your fancy.

## Records of molecules, as found in the file
'''
Density functional theory data (ωB97M-V/def2-TZVPD) for C27H32Cl2N3OP2V as an isolated structure.

Each line ends with the Löwdin charge.
Positions of all 68 atoms, in Å:
V1 -0.18 -0.11 -0.18  0.82
Cl1 -1.33 -3.93 -2.60  0.82
C1 -1.83 -2.31 -2.83  -0.57
C2 -2.53 -1.96 -4.00  -0.08
C3 -2.97 -0.69 -4.20  -0.58
Cl2 -3.85 -0.30 -5.63  0.80
C4 -2.72 0.33 -3.24  -0.15
C5 -3.16 1.66 -3.34  0.04
C6 -2.88 2.56 -2.34  0.00
C7 -2.10 2.15 -1.26  -0.08
N1 -1.66 0.91 -1.13  -0.02
C8 -2.00 -0.03 -2.08  -0.15
C9 -1.58 -1.37 -1.86  -0.33
O1 -0.97 -1.65 -0.68  -0.21
H1 -2.73 -2.73 -4.74  0.12
H2 -3.74 1.97 -4.20  0.11
H3 -3.22 3.58 -2.39  0.13
H4 -1.81 2.85 -0.48  0.13
C10 -1.73 1.39 2.79  -0.20
P1 -0.34 0.39 2.19  0.98
C11 1.16 1.40 2.49  -0.39
N2 1.17 2.07 3.62  0.15
C12 2.28 2.76 3.94  -0.19
C13 2.34 3.49 5.15  0.01
C14 3.48 4.15 5.48  -0.03
C15 4.62 4.12 4.63  -0.03
C16 4.59 3.43 3.45  0.01
C17 3.42 2.73 3.08  -0.18
N3 3.37 2.06 1.91  0.16
C18 2.27 1.42 1.61  -0.40
P2 2.24 0.60 -0.03  0.98
C19 3.55 -0.64 0.01  -0.20
C20 2.66 1.84 -1.33  -0.72
C21 2.34 1.18 -2.68  -0.08
C22 4.13 2.26 -1.30  -0.07
C23 1.75 3.05 -1.12  -0.08
C24 -0.20 -1.14 3.19  -0.71
C25 0.98 -1.93 2.62  -0.08
C26 -1.51 -1.92 3.01  -0.07
C27 0.03 -0.83 4.67  -0.06
H5 -1.59 1.60 3.85  0.06
H6 -2.66 0.85 2.63  0.06
H7 -1.76 2.34 2.25  0.05
H8 1.46 3.49 5.79  0.12
H9 3.54 4.71 6.41  0.12
H10 5.51 4.65 4.92  0.12
H11 5.44 3.39 2.79  0.12
H12 4.47 -0.17 0.36  0.07
H13 3.71 -1.05 -0.99  0.06
H14 3.29 -1.46 0.69  0.04
H15 3.01 0.35 -2.90  0.09
H16 2.46 1.91 -3.47  0.10
H17 1.30 0.81 -2.73  0.06
H18 4.80 1.42 -1.46  0.09
H19 4.39 2.75 -0.36  0.07
H20 4.30 2.97 -2.12  0.10
H21 0.69 2.80 -1.27  0.06
H22 1.99 3.82 -1.86  0.10
H23 1.87 3.50 -0.14  0.08
H24 0.83 -2.20 1.57  0.07
H25 1.07 -2.88 3.16  0.11
H26 1.92 -1.40 2.74  0.08
H27 -1.74 -2.11 1.96  0.08
H28 -2.35 -1.42 3.47  0.09
H29 -1.40 -2.89 3.50  0.11
H30 0.96 -0.29 4.84  0.08
H31 0.09 -1.78 5.21  0.10
H32 -0.78 -0.26 5.10  0.09

## Properties
Relative energy (zero: lowest compared OMol25 entry of this formula, charge and spin), kcal/mol: 0.0
Highest occupied orbital energy (spin up / spin down), eV: -14.135 / -14.132
Total charge: +2
Spin multiplicity: 3
'''
## Here the text continues

The ragdolls now also have an internal skeleton, so it is more common for bodies to slump to the floor in a heap than to pinwheel widely through the air, propelled by your ever-powerful arsenal. 'Shooting stuff is fun, which is why you do it in most games.' But nothing makes these sequences of mass mayhem come alive quite like the soundtrack, which starts blasting out of your speakers whenever you enter into bullet time and start dealing death to those around you. While many Max Payne 2 mods have experimented with this in the past, none do it as well as Cinema does. Rather than two or three little clips playing on repeat throughout the game, Cinema has over a dozen different tracks, all of which compliment the action without taking you out of the experience. There is a lot to be said for running into a battle, opening fire, and being propelled forward by the dramatic beat of a song that just encourages you to keep pumping round after round into a poor, helpless thug until he literally crumples to the floor before you.

Start the game with the '-developerkeys' command line parameter. Start the game, then press [Page Up] or [Page Down] to cycle character models until reaching one of Mona Sax as she appeared when in the shower. Special ending. Successfully complete the game in Dead On Arrival mode to view a special. May 15, 2017. Max Payne 2 Blood Model. Remington Model 8. Internet Movie Firearms Database. The Remington 8. 70 shotgun debuted in 1. The Remington 8. 70 is arguably the world's most widely owned and used shotgun, with over 9 million in civilian hands. Fires fictional guided high- explosive rounds 2.

Animation In Sugar Carlos Lischetti Pdf Viewer. Send 'em flying! Zazen Boys 4 Rapidshare Downloader. Is it necessary? Hell no, but it makes the whole thing more cinematic, and that's the whole point.

'The music is an interesting aspect of the mod, because none of the selections I made are anything I actually listen to on any sort of a frequent basis,' Gobeille said. 'A few of the pieces were just tracks that I'd heard at some point in time on the radio or some such and thought would work reasonably well, and some of the others were fan suggestions. I'm not sure that I would have chosen any of the same pieces if I had made the mod 1 year ago instead of nearly 3, but I think they 'worked' as far as the mindset I was in at the time goes.' And really, these changes make up the bulk of Cinema.

When looked at objectively, there isn't a lot there, truth be told. Sure, Max now has a new, 'cooler' model in the game and there are a few new Dead On Arrival maps for you to toy around with, but the basic gameplay is just the original Max Payne 2 with a lot of tweaks chucked into the mix. But it is these few tweaks that have turned Cinema into my Max Payne experience of choice. It may sound corny, but seriously, I have never gone back to the original game once since downloading an early version of this mod a year ago, which has also in turn resulted in me never once uninstalling The Fall of Max Payne. Shooting stuff is fun, which is why you do it in most games.

Download this mod and enjoy some of the best killing money can buy.